# File
____________
Record 1
# Sm2HgO4 (PBEsol, optimized geometry)
data_Sm2HgO4
_cell_length_a 13.6732
_cell_length_b 3.7168
_cell_length_c 10.1485
_cell_angle_alpha 90.00
_cell_angle_beta 121.85
_cell_angle_gamma 90.00
_symmetry_space_group_name_H-M 'C 1 2/m 1'
_symmetry_Int_Tables_number 12
loop_
_symmetry_equiv_pos_as_xyz
'x,y,z'
'-x,-y,-z'
'-x,y,-z'
'x,-y,z'
'x+1/2,y+1/2,z'
'-x+1/2,-y+1/2,-z'
'-x+1/2,y+1/2,-z'
'x+1/2,-y+1/2,z'
loop_
_atom_site_label
_atom_site_fract_x
_atom_site_fract_y
_atom_site_fract_z
_atom_site_occupancy
Sm1 0.1192 0.0000 0.4598 1
Sm2 0.1607 0.5000 0.7997 1
Hg1 0.1140 0.5000 0.1619 1
O1 0.0352 0.5000 0.2807 1
O2 0.0814 0.0000 0.6530 1
O3 0.2025 0.5000 0.0556 1
O4 0.2318 0.5000 0.6135 1
# Crystal system = monoclinic
# ΔE_f (raw) = -2616 meV/atom
# Electronic total energy = -7.15 eV/atom



Record 2
# Sc2ReGe2 (PBEsol, optimized geometry)
data_Sc2ReGe2
_cell_length_a 6.6306
_cell_length_b 6.6306
_cell_length_c 3.8336
_cell_angle_alpha 90.00
_cell_angle_beta 90.00
_cell_angle_gamma 90.00
_symmetry_space_group_name_H-M 'P 4/m b m'
_symmetry_Int_Tables_number 127
_symmetry_space_group_name_Hall '-P 4 2ab'
loop_
_atom_site_label
_atom_site_fract_x
_atom_site_fract_y
_atom_site_fract_z
_atom_site_occupancy
Sc1 0.1746 0.3254 0.0000 1
Re1 0.0000 0.0000 0.5000 1
Ge1 0.1327 0.6327 0.5000 1
# Crystal system = tetragonal
# Energy relative to the elements = -0.680 eV per atom
# Electronic total energy = -7.96 eV/atom



Record 3
# Cs5Te3 (PBEsol, optimized geometry)
data_Cs5Te3
_cell_length_a 14.6961
_cell_length_b 14.6961
_cell_length_c 6.9074
_cell_angle_alpha 90.00
_cell_angle_beta 90.00
_cell_angle_gamma 90.00
_symmetry_space_group_name_H-M 'I 4/m'
_symmetry_Int_Tables_number 87
_symmetry_space_group_name_Hall '-I 4'
loop_
_atom_site_label
_atom_site_fract_x
_atom_site_fract_y
_atom_site_fract_z
_atom_site_occupancy
Cs1 0.0000 0.5000 0.2500 1
Cs2 0.0875 0.7831 0.0000 1
Cs3 0.0910 0.2261 0.5000 1
Te1 0.0000 0.0000 0.2974 1
Te2 0.1562 0.3430 0.0000 1
# Crystal system = tetragonal
# ΔE_f (raw) = -984 meV/atom
# Electronic total energy = -2.90 eV/atom



Record 4
# Mg2TcAu2 (PBEsol, optimized geometry)
data_Mg2TcAu2
_cell_length_a 3.8743
_cell_length_b 3.8743
_cell_length_c 12.4622
_cell_angle_alpha 90.00
_cell_angle_beta 90.00
_cell_angle_gamma 90.00
_symmetry_space_group_name_H-M 'I 4/m m m'
_symmetry_Int_Tables_number 139
_symmetry_space_group_name_Hall '-I 4 2'
loop_
_atom_site_label
_atom_site_fract_x
_atom_site_fract_y
_atom_site_fract_z
_atom_site_occupancy
Mg1 0.0000 0.5000 0.2500 1
Tc1 0.0000 0.0000 0.0000 1
Au1 0.0000 0.0000 0.3956 1
# Crystal system = tetragonal
# Energy relative to the elements = 0.400 eV per atom
# Electronic total energy = -4.11 eV/atom



Record 5
# ZnInW (PBEsol, optimized geometry)
data_ZnInW
_cell_length_a 2.8493
_cell_length_b 3.7176
_cell_length_c 9.5288
_cell_angle_alpha 90.00
_cell_angle_beta 90.00
_cell_angle_gamma 90.00
_symmetry_space_group_name_H-M 'I m m 2'
_symmetry_Int_Tables_number 44
loop_
_symmetry_equiv_pos_as_xyz
'x,y,z'
'-x,-y,z'
'-x,y,z'
'x,-y,z'
'x+1/2,y+1/2,z+1/2'
'-x+1/2,-y+1/2,z+1/2'
'-x+1/2,y+1/2,z+1/2'
'x+1/2,-y+1/2,z+1/2'
loop_
_atom_site_label
_atom_site_fract_x
_atom_site_fract_y
_atom_site_fract_z
_atom_site_occupancy
Zn1 0.0000 0.0000 0.0000 1
In1 0.0000 0.0000 0.6798 1
W1 0.0000 0.0000 0.3647 1
# Crystal system = orthorhombic
# Energy relative to the elements = 0.531 eV per atom
# Electronic total energy = -5.59 eV/atom



Record 6
# K2BAsOs (PBEsol, optimized geometry)
data_K2BAsOs
_cell_length_a 6.3626
_cell_length_b 6.3626
_cell_length_c 3.5397
_cell_angle_alpha 90.00
_cell_angle_beta 90.00
_cell_angle_gamma 90.00
_symmetry_space_group_name_H-M 'P 4/m m m'
_symmetry_Int_Tables_number 123
_symmetry_space_group_name_Hall '-P 4 2'
loop_
_atom_site_label
_atom_site_fract_x
_atom_site_fract_y
_atom_site_fract_z
_atom_site_occupancy
K1 0.0000 0.5000 0.0000 1
B1 0.0000 0.0000 0.5000 1
As1 0.0000 0.0000 0.0000 1
Os1 0.5000 0.5000 0.5000 1
# Crystal system = tetragonal
____________

# Request
Next, restate every line above that contains the word "optimized".

# Written answer
# Sm2HgO4 (PBEsol, optimized geometry)
# Sc2ReGe2 (PBEsol, optimized geometry)
# Cs5Te3 (PBEsol, optimized geometry)
# Mg2TcAu2 (PBEsol, optimized geometry)
# ZnInW (PBEsol, optimized geometry)
# K2BAsOs (PBEsol, optimized geometry)